# File
=====
Material: LaCo2SnF
Method: DFT, PBE with a Hubbard U
State: optimized geometry

Geometry as CIF:
```
data_LaCo2SnF
_cell_length_a 5.070
_cell_length_b 5.070
_cell_length_c 4.621
_cell_angle_alpha 90.00
_cell_angle_beta 90.00
_cell_angle_gamma 90.00
_space_group_name_H-M_alt 'P 4/m m m'
_space_group_IT_number 123
_space_group_name_Hall '-P 4 2'
loop_
_atom_site_label
_atom_site_type_symbol
_atom_site_fract_x
_atom_site_fract_y
_atom_site_fract_z
La1 La 0.000 0.000 0.000
Co1 Co 0.000 0.500 0.500
Sn1 Sn 0.500 0.500 0.500
F1 F 0.500 0.500 0.000
```

Results
Magnetic moment ... 2.88 μB/cell
Volume ... 119 Å³/f.u.
E ... -0.3232 Ry per atom

=====

LaTbCu: optimized geometry, PBE.

Structure (POSCAR):
```
LaTbCu
1.0
3.710 0.000 0.000
-1.855 3.213 0.000
0.000 0.000 7.103
Tb Cu La
1 1 1
Cartesian
0.000 2.142 4.361 Tb
1.855 1.071 2.440 Cu
0.000 0.000 0.302 La
```

DFT total energy (eV per atom): -4.510
Relative energy among the computed polymorphs (meV per atom): 137
Total magnetic moment (μB per cell): 0.00
=====

# Work order
Start at the top of the notes earlier on and repeat each line, ending with the one that has "DFT total".

# Completed
Material: LaCo2SnF
Method: DFT, PBE with a Hubbard U
State: optimized geometry

Geometry as CIF:
```
data_LaCo2SnF
_cell_length_a 5.070
_cell_length_b 5.070
_cell_length_c 4.621
_cell_angle_alpha 90.00
_cell_angle_beta 90.00
_cell_angle_gamma 90.00
_space_group_name_H-M_alt 'P 4/m m m'
_space_group_IT_number 123
_space_group_name_Hall '-P 4 2'
loop_
_atom_site_label
_atom_site_type_symbol
_atom_site_fract_x
_atom_site_fract_y
_atom_site_fract_z
La1 La 0.000 0.000 0.000
Co1 Co 0.000 0.500 0.500
Sn1 Sn 0.500 0.500 0.500
F1 F 0.500 0.500 0.000
```

Results
Magnetic moment ... 2.88 μB/cell
Volume ... 119 Å³/f.u.
E ... -0.3232 Ry per atom

=====

LaTbCu: optimized geometry, PBE.

Structure (POSCAR):
```
LaTbCu
1.0
3.710 0.000 0.000
-1.855 3.213 0.000
0.000 0.000 7.103
Tb Cu La
1 1 1
Cartesian
0.000 2.142 4.361 Tb
1.855 1.071 2.440 Cu
0.000 0.000 0.302 La
```

DFT total energy (eV per atom): -4.510